What to do:
Retype the whole of the lines further below word for word.

Source:
- - -
# 1
The following is a DFT calculation (GGA-PBE) of a relaxed structure of Tb7Nd2Th3.

Geometry as POSCAR:
```
Tb7Nd2Th3
1.0
6.395 0.000 0.000
0.000 3.517 0.000
-2.034 0.000 17.419
Tb Nd Th
7 2 3
direct
0.000 0.000 0.000
0.239 0.500 0.167
0.260 0.500 0.505
0.282 0.000 0.837
0.718 0.000 0.163
0.740 0.500 0.495
0.761 0.500 0.833
0.042 0.500 0.671
0.958 0.500 0.329
0.463 0.000 0.338
0.500 0.500 0.000
0.537 0.000 0.662
```

## Properties
DFT formation energy ... 98 meV per atom
DOS(E_F) ... 17.51 states/eV/f.u.


# 2
The following is a DFT calculation (GGA-PBE) of a relaxed structure of MgMoIrRh.

Geometry as POSCAR:
```
MgMoIrRh
1.0
0.000 3.124 3.124
3.124 0.000 3.124
3.124 3.124 0.000
Mg Mo Ir Rh
1 1 1 1
direct
0.000 0.000 0.000
0.500 0.500 0.500
0.250 0.250 0.250
0.750 0.750 0.750
```

## Properties
DFT formation energy ... -147 meV per atom
DOS(E_F) ... 6.18 states/eV/f.u.


# 3
The following is a DFT calculation (GGA-PBE) of a relaxed structure of Cd4CoRh.

Geometry as POSCAR:
```
Cd4CoRh
1.0
0.000 3.860 3.860
3.860 0.000 3.860
3.860 3.860 0.000
Cd Co Rh
4 1 1
direct
0.125 0.125 0.125
0.125 0.125 0.625
0.125 0.625 0.125
0.625 0.125 0.125
0.750 0.750 0.750
0.500 0.500 0.500
```

## Properties
DFT formation energy ... 510 meV per atom
DOS(E_F) ... 8.59 states/eV/f.u.


# 4
The following is a DFT calculation (GGA-PBE) of a relaxed structure of Ce3DyTl4Se8.

Geometry as POSCAR:
```
Ce3DyTl4Se8
1.0
4.308 2.487 7.737
-4.308 2.487 7.737
0.000 -4.975 7.737
Ce Dy Tl Se
3 1 4 8
direct
0.000 0.500 0.500
0.500 0.000 0.500
0.500 0.500 0.000
0.000 0.000 0.000
0.000 0.000 0.500
0.000 0.500 0.000
0.500 0.000 0.000
0.500 0.500 0.500
0.232 0.232 0.743
0.232 0.743 0.232
0.257 0.768 0.768
0.263 0.263 0.263
0.737 0.737 0.737
0.743 0.232 0.232
0.768 0.257 0.768
0.768 0.768 0.257
```

## Properties
Formation energy from raw total energies ... -2056.9 kJ/mol of formula units
DOS(E_F) ... 19.82 states/eV/f.u.


# 5
The following is a DFT calculation (GGA-PBE) of a relaxed structure of NdPuThIn.

Geometry as POSCAR:
```
NdPuThIn
1.0
0.000 3.874 3.874
3.874 0.000 3.874
3.874 3.874 0.000
Nd Pu Th In
1 1 1 1
direct
0.000 0.000 0.000
0.500 0.500 0.500
0.250 0.250 0.250
0.750 0.750 0.750
```

## Properties
DFT formation energy ... 62 meV per atom
DOS(E_F) ... 12.59 states/eV/f.u.


# 6
The following is a DFT calculation (GGA-PBE) of a relaxed structure of Te2RhBr.
- - -

Result:
# 1
The following is a DFT calculation (GGA-PBE) of a relaxed structure of Tb7Nd2Th3.

Geometry as POSCAR:
```
Tb7Nd2Th3
1.0
6.395 0.000 0.000
0.000 3.517 0.000
-2.034 0.000 17.419
Tb Nd Th
7 2 3
direct
0.000 0.000 0.000
0.239 0.500 0.167
0.260 0.500 0.505
0.282 0.000 0.837
0.718 0.000 0.163
0.740 0.500 0.495
0.761 0.500 0.833
0.042 0.500 0.671
0.958 0.500 0.329
0.463 0.000 0.338
0.500 0.500 0.000
0.537 0.000 0.662
```

## Properties
DFT formation energy ... 98 meV per atom
DOS(E_F) ... 17.51 states/eV/f.u.


# 2
The following is a DFT calculation (GGA-PBE) of a relaxed structure of MgMoIrRh.

Geometry as POSCAR:
```
MgMoIrRh
1.0
0.000 3.124 3.124
3.124 0.000 3.124
3.124 3.124 0.000
Mg Mo Ir Rh
1 1 1 1
direct
0.000 0.000 0.000
0.500 0.500 0.500
0.250 0.250 0.250
0.750 0.750 0.750
```

## Properties
DFT formation energy ... -147 meV per atom
DOS(E_F) ... 6.18 states/eV/f.u.


# 3
The following is a DFT calculation (GGA-PBE) of a relaxed structure of Cd4CoRh.

Geometry as POSCAR:
```
Cd4CoRh
1.0
0.000 3.860 3.860
3.860 0.000 3.860
3.860 3.860 0.000
Cd Co Rh
4 1 1
direct
0.125 0.125 0.125
0.125 0.125 0.625
0.125 0.625 0.125
0.625 0.125 0.125
0.750 0.750 0.750
0.500 0.500 0.500
```

## Properties
DFT formation energy ... 510 meV per atom
DOS(E_F) ... 8.59 states/eV/f.u.


# 4
The following is a DFT calculation (GGA-PBE) of a relaxed structure of Ce3DyTl4Se8.

Geometry as POSCAR:
```
Ce3DyTl4Se8
1.0
4.308 2.487 7.737
-4.308 2.487 7.737
0.000 -4.975 7.737
Ce Dy Tl Se
3 1 4 8
direct
0.000 0.500 0.500
0.500 0.000 0.500
0.500 0.500 0.000
0.000 0.000 0.000
0.000 0.000 0.500
0.000 0.500 0.000
0.500 0.000 0.000
0.500 0.500 0.500
0.232 0.232 0.743
0.232 0.743 0.232
0.257 0.768 0.768
0.263 0.263 0.263
0.737 0.737 0.737
0.743 0.232 0.232
0.768 0.257 0.768
0.768 0.768 0.257
```

## Properties
Formation energy from raw total energies ... -2056.9 kJ/mol of formula units
DOS(E_F) ... 19.82 states/eV/f.u.


# 5
The following is a DFT calculation (GGA-PBE) of a relaxed structure of NdPuThIn.

Geometry as POSCAR:
```
NdPuThIn
1.0
0.000 3.874 3.874
3.874 0.000 3.874
3.874 3.874 0.000
Nd Pu Th In
1 1 1 1
direct
0.000 0.000 0.000
0.500 0.500 0.500
0.250 0.250 0.250
0.750 0.750 0.750
```

## Properties
DFT formation energy ... 62 meV per atom
DOS(E_F) ... 12.59 states/eV/f.u.


# 6
The following is a DFT calculation (GGA-PBE) of a relaxed structure of Te2RhBr.